Data.
Entry 1:
The following is a quantum chemistry calculation of 2 unconnected molecules or ions with the total composition C37H61Br2IN5O5, from the Open Molecules 2025 dataset.

HOMO-LUMO gap: 8.175 eV
Relative energy (zero: lowest compared OMol25 entry of this formula, charge and spin): 0.00 kJ/mol
LUMO energy: -2.3 eV
E: -205222.87541 eV
Total charge: +1

```
111
Properties=species:S:1:pos:R:3:lowdin_charge:R:1
C 11.32983 0.52849 -0.69990 -0.071
C 10.69679 -0.85854 -0.49700 -0.276
O 10.45381 -1.58970 -1.68389 -0.137
C 9.74847 -0.86674 -2.67225 -0.184
C 8.37862 -0.30335 -2.24100 -0.175
O 7.36332 -0.89870 -3.04735 -0.132
C 6.47028 0.02562 -3.64222 -0.187
C 5.03855 -0.48904 -3.50300 -0.171
O 4.24687 0.27550 -4.42987 -0.132
C 2.88582 0.33843 -4.03552 -0.127
C 2.59631 1.68445 -3.35945 -0.086
C 3.50954 2.31379 -2.54826 -0.005
C 3.30345 3.52714 -1.95904 -0.175
C 4.33699 4.21754 -1.07841 -0.589
I 6.18864 3.12519 -0.90663 1.011
C 3.76496 4.64806 0.31810 -0.289
C 4.47065 4.11775 1.56484 -0.184
C 2.07636 4.16464 -2.21688 -0.178
C 1.70102 5.51306 -1.70445 -0.677
Br 0.44269 5.59811 -0.26009 0.778
C 2.20767 6.60315 -2.26569 -0.738
C 3.14741 6.55082 -3.44480 -0.093
Br 1.77699 8.34428 -1.62955 0.754
C 1.17039 3.51939 -2.98123 -0.050
C 1.38537 2.27823 -3.57306 -0.031
C 0.16285 1.84845 -4.36410 -0.327
O 0.02832 1.04377 -5.24652 0.156
N -0.88853 2.70322 -3.82006 0.039
C -1.34811 1.92097 -2.63180 -0.152
C -2.86439 1.92479 -2.49267 -0.162
C -3.35492 1.52068 -1.08614 -0.180
C -2.77543 0.18800 -0.55294 -0.211
N -2.80431 0.19089 0.92487 0.019
C -1.56738 0.40203 1.57582 -0.527
N -1.55594 0.25502 2.83903 0.110
N -0.37204 0.81021 0.89186 0.102
C -0.23708 3.92020 -3.40947 -0.323
O -0.75156 5.01343 -3.43732 0.147
H 10.52185 1.25975 -0.81681 0.066
H 11.81308 0.79929 0.24053 0.076
H 12.01171 0.57821 -1.54486 0.081
H 9.80379 -0.78369 0.13547 0.106
H 11.40727 -1.45777 0.07840 0.116
H 10.35735 -0.07741 -3.13209 0.117
H 9.55161 -1.57529 -3.47817 0.130
H 8.13695 -0.53177 -1.19801 0.123
H 8.41325 0.78844 -2.32496 0.102
H 6.49387 1.02195 -3.19534 0.065
H 6.69555 0.05824 -4.71449 0.137
H 4.95778 -1.55396 -3.73459 0.136
H 4.66317 -0.24410 -2.50295 0.118
H 2.59540 -0.48710 -3.37952 0.138
H 2.31032 0.34767 -4.96061 0.125
H 4.44530 1.79376 -2.41455 0.022
H 4.59915 5.13270 -1.60152 0.052
H 3.83970 5.73850 0.37129 0.114
H 2.69949 4.43962 0.35716 0.038
H 4.48087 3.03083 1.64100 0.055
H 5.45872 4.54846 1.71222 0.053
H 3.88206 4.46444 2.42392 0.078
H 4.17798 6.34886 -3.14700 0.079
H 3.14493 7.51019 -3.96023 0.070
H 2.85047 5.78460 -4.16123 0.093
H -0.89027 2.28591 -1.70145 0.118
H -1.02814 0.88047 -2.73557 0.125
H -3.33598 1.23767 -3.20194 0.120
H -3.30053 2.90208 -2.70979 0.121
H -3.21992 2.30932 -0.34154 0.114
H -4.43604 1.37250 -1.16878 0.105
H -1.81241 -0.08267 -0.98282 0.090
H -3.47576 -0.59581 -0.86608 0.108
H -3.23824 -0.63729 1.30055 0.081
H -0.61427 0.46692 3.15838 0.046
H -0.50067 1.65522 0.34599 0.066
H -0.09561 0.04398 0.28581 0.083
C -6.75186 -7.28615 2.87363 -0.090
C -6.82742 -6.17705 3.92348 -0.258
C -7.92419 -5.14688 3.64087 -0.161
C -7.60619 -3.90324 2.81918 -0.089
N -6.42607 -3.02303 3.18457 -0.186
C -5.13736 -3.50522 2.54459 -0.079
C -5.27434 -3.16636 1.07060 -0.145
C -6.00895 -1.82844 1.05138 -0.132
C -6.63911 -1.68506 2.43375 -0.079
C -6.30070 -2.61205 4.64535 -0.096
C -5.83352 -3.58936 5.72876 -0.207
C -6.88765 -4.12342 6.69971 -0.086
H -6.66164 -6.87881 1.86357 0.073
H -5.88712 -7.92252 3.06028 0.080
H -7.64040 -7.91595 2.91928 0.082
H -5.84397 -5.72428 4.01064 0.065
H -7.01885 -6.64182 4.89212 0.113
H -8.38527 -4.80774 4.56843 0.095
H -8.74195 -5.65646 3.12341 0.131
H -8.47679 -3.25127 2.87261 0.133
H -7.48580 -4.18361 1.77401 0.130
H -4.32208 -2.95027 3.01011 0.148
H -5.00149 -4.57059 2.69540 0.122
H -5.85866 -3.91978 0.54265 0.111
H -4.31251 -3.12650 0.56167 0.123
H -6.75346 -1.78350 0.25837 0.125
H -5.31850 -1.00447 0.87613 0.093
H -7.69816 -1.44681 2.42602 0.133
H -6.11214 -0.91348 2.98817 0.130
H -7.24795 -2.14043 4.91045 0.146
Wanted.
The reader should copy the lines earlier on from the one with "-205222.87541 eV" to the one with "6.18864 3.12519" without additions.
Outcome.
E: -205222.87541 eV
Total charge: +1

```
111
Properties=species:S:1:pos:R:3:lowdin_charge:R:1
C 11.32983 0.52849 -0.69990 -0.071
C 10.69679 -0.85854 -0.49700 -0.276
O 10.45381 -1.58970 -1.68389 -0.137
C 9.74847 -0.86674 -2.67225 -0.184
C 8.37862 -0.30335 -2.24100 -0.175
O 7.36332 -0.89870 -3.04735 -0.132
C 6.47028 0.02562 -3.64222 -0.187
C 5.03855 -0.48904 -3.50300 -0.171
O 4.24687 0.27550 -4.42987 -0.132
C 2.88582 0.33843 -4.03552 -0.127
C 2.59631 1.68445 -3.35945 -0.086
C 3.50954 2.31379 -2.54826 -0.005
C 3.30345 3.52714 -1.95904 -0.175
C 4.33699 4.21754 -1.07841 -0.589
I 6.18864 3.12519 -0.90663 1.011